=====
VASP calculation (PBE) on a relaxed La2ZrGeMo crystal. Values from VASP.

Quantum ESPRESSO input file:
```
&SYSTEM
  ibrav = 0, nat = 5, ntyp = 4
/
ATOMIC_SPECIES
Ge 72.64 Ge.upf
Mo 95.94 Mo.upf
La 138.91 La.upf
Zr 91.22 Zr.upf
CELL_PARAMETERS angstrom
-1.1114 -3.4605 4.0591
4.1040 1.4809 2.3862
-2.8693 3.8831 2.5249
ATOMIC_POSITIONS crystal
Ge 0.0000 0.5000 0.0000
Mo 0.0000 0.0000 0.0000
La 0.5000 0.0000 0.0000
La 0.0000 0.0000 0.5000
Zr 0.5000 0.5000 0.5000
```

Size of the total moment: 0.421 μB/atom
Final energy: -6.260 eV per atom
E_form: 0.510 eV per atom

***

VASP calculation (PBE) on a relaxed Tl3SiTe4 crystal. Values from VASP.

Quantum ESPRESSO input file:
```
&SYSTEM
  ibrav = 0, nat = 32, ntyp = 3
/
ATOMIC_SPECIES
Te 127.60 Te.upf
Tl 204.38 Tl.upf
Si 28.09 Si.upf
CELL_PARAMETERS angstrom
-0.5793 7.2778 -6.3944
-7.5945 -4.6365 -4.5891
-7.6387 5.5616 7.0220
ATOMIC_POSITIONS crystal
Te 0.3346 0.4651 0.0703
Te 0.6654 0.5349 0.5703
Te 0.1654 0.9651 0.5703
Te 0.1758 0.7823 0.2500
Te 0.5341 0.9324 0.7500
Te 0.0341 0.5676 0.7500
Te 0.1654 0.9651 0.9297
Te 0.6758 0.7177 0.2500
Te 0.8346 0.0349 0.4297
Te 0.3346 0.4651 0.4297
Te 0.6654 0.5349 0.9297
Te 0.4659 0.0676 0.2500
Te 0.9659 0.4324 0.2500
Te 0.8346 0.0349 0.0703
Te 0.3242 0.2823 0.7500
Te 0.8242 0.2177 0.7500
Tl 0.0750 0.1215 0.2500
Tl 0.9250 0.8785 0.7500
Tl 0.4253 0.8009 0.4430
Tl 0.4250 0.6215 0.7500
Tl 0.4253 0.8009 0.0570
Tl 0.9253 0.6991 0.4430
Tl 0.0747 0.3009 0.5570
Tl 0.0747 0.3009 0.9430
Tl 0.5747 0.1991 0.5570
Tl 0.5747 0.1991 0.9430
Tl 0.5750 0.3785 0.2500
Tl 0.9253 0.6991 0.0570
Si 0.7064 0.9695 0.2500
Si 0.7936 0.4695 0.7500
Si 0.2936 0.0305 0.7500
Si 0.2064 0.5305 0.2500
```

Size of the total moment: 0.000 μB/atom
Offset from the most stable computed form: 0.000 kcal/mol of atoms
Final energy: -3.320 eV per atom

***

VASP calculation (PBE) on a relaxed Pr4SmMg crystal. Values from VASP.

Quantum ESPRESSO input file:
```
&SYSTEM
  ibrav = 0, nat = 6, ntyp = 3
/
ATOMIC_SPECIES
Pr 140.91 Pr.upf
Mg 24.30 Mg.upf
Sm 150.36 Sm.upf
CELL_PARAMETERS angstrom
5.8006 0.0000 0.0000
0.0002 6.4537 0.0228
0.0001 0.0337 6.4536
ATOMIC_POSITIONS crystal
Pr 0.5000 0.6718 0.3282
Pr 0.5000 0.3282 0.6718
Pr 0.0000 0.1761 0.1761
Pr 0.0000 0.8239 0.8239
Mg 0.0000 0.5000 0.5000
Sm 0.5000 0.0000 0.0000
```

Size of the total moment: 0.000 μB/atom
Offset from the most stable computed form: 15.156 kcal/mol of atoms
Final energy: -3.607 eV per atom
E_form: 0.632 eV per atom

***

VASP calculation (PBE) on a relaxed NdGdLuIn crystal. Values from VASP.

Quantum ESPRESSO input file:
```
&SYSTEM
  ibrav = 0, nat = 4, ntyp = 4
/
ATOMIC_SPECIES
Gd 157.25 Gd.upf
Lu 174.97 Lu.upf
In 114.82 In.upf
Nd 144.24 Nd.upf
CELL_PARAMETERS angstrom
5.4987 0.0000 0.0000
2.7493 4.7620 0.0000
2.7493 1.5873 4.4896
ATOMIC_POSITIONS crystal
Gd 0.0000 0.0000 0.0000
Lu 0.7500 0.7500 0.7500
In 0.2500 0.2500 0.2500
Nd 0.5000 0.5000 0.5000
```

Size of the total moment: 2.040 μB/atom
Final energy: -6.700 eV per atom
E_form: -0.173 eV per atom

***

VASP calculation (PBE) on a relaxed Ge2PSeBr crystal. Values from VASP.

Quantum ESPRESSO input file:
```
&SYSTEM
  ibrav = 0, nat = 5, ntyp = 4
/
ATOMIC_SPECIES
Se 78.96 Se.upf
Ge 72.64 Ge.upf
Br 79.90 Br.upf
P 30.97 P.upf
CELL_PARAMETERS angstrom
5.3281 0.0000 0.0000
0.0000 4.8971 0.0000
0.0000 0.0000 5.3281
ATOMIC_POSITIONS crystal
Se 0.0000 0.0000 0.0000
Ge 0.0000 0.0000 0.5000
Ge 0.5000 0.0000 0.0000
Br 0.0000 0.5000 0.0000
P 0.5000 0.5000 0.5000
```

Size of the total moment: 0.000 μB/atom
Final energy: -3.013 eV per atom

***

VASP calculation (PBE) on a relaxed IrRuBr crystal. Values from VASP.

Quantum ESPRESSO input file:
```
&SYSTEM
  ibrav = 0, nat = 3, ntyp = 3
/
ATOMIC_SPECIES
Br 79.90 Br.upf
Ir 192.22 Ir.upf
Ru 101.07 Ru.upf
CELL_PARAMETERS angstrom
-2.7217 -1.0296 -0.6461
1.3169 -0.7726 2.5601
-2.6102 5.0929 2.8797
ATOMIC_POSITIONS crystal
Br 0.0000 0.0000 0.9826
Ir 0.6667 0.3333 0.3547
Ru 0.3333 0.6667 0.6627
```
=====
Set down everything above character by character.
VASP calculation (PBE) on a relaxed La2ZrGeMo crystal. Values from VASP.

Quantum ESPRESSO input file:
```
&SYSTEM
  ibrav = 0, nat = 5, ntyp = 4
/
ATOMIC_SPECIES
Ge 72.64 Ge.upf
Mo 95.94 Mo.upf
La 138.91 La.upf
Zr 91.22 Zr.upf
CELL_PARAMETERS angstrom
-1.1114 -3.4605 4.0591
4.1040 1.4809 2.3862
-2.8693 3.8831 2.5249
ATOMIC_POSITIONS crystal
Ge 0.0000 0.5000 0.0000
Mo 0.0000 0.0000 0.0000
La 0.5000 0.0000 0.0000
La 0.0000 0.0000 0.5000
Zr 0.5000 0.5000 0.5000
```

Size of the total moment: 0.421 μB/atom
Final energy: -6.260 eV per atom
E_form: 0.510 eV per atom

***

VASP calculation (PBE) on a relaxed Tl3SiTe4 crystal. Values from VASP.

Quantum ESPRESSO input file:
```
&SYSTEM
  ibrav = 0, nat = 32, ntyp = 3
/
ATOMIC_SPECIES
Te 127.60 Te.upf
Tl 204.38 Tl.upf
Si 28.09 Si.upf
CELL_PARAMETERS angstrom
-0.5793 7.2778 -6.3944
-7.5945 -4.6365 -4.5891
-7.6387 5.5616 7.0220
ATOMIC_POSITIONS crystal
Te 0.3346 0.4651 0.0703
Te 0.6654 0.5349 0.5703
Te 0.1654 0.9651 0.5703
Te 0.1758 0.7823 0.2500
Te 0.5341 0.9324 0.7500
Te 0.0341 0.5676 0.7500
Te 0.1654 0.9651 0.9297
Te 0.6758 0.7177 0.2500
Te 0.8346 0.0349 0.4297
Te 0.3346 0.4651 0.4297
Te 0.6654 0.5349 0.9297
Te 0.4659 0.0676 0.2500
Te 0.9659 0.4324 0.2500
Te 0.8346 0.0349 0.0703
Te 0.3242 0.2823 0.7500
Te 0.8242 0.2177 0.7500
Tl 0.0750 0.1215 0.2500
Tl 0.9250 0.8785 0.7500
Tl 0.4253 0.8009 0.4430
Tl 0.4250 0.6215 0.7500
Tl 0.4253 0.8009 0.0570
Tl 0.9253 0.6991 0.4430
Tl 0.0747 0.3009 0.5570
Tl 0.0747 0.3009 0.9430
Tl 0.5747 0.1991 0.5570
Tl 0.5747 0.1991 0.9430
Tl 0.5750 0.3785 0.2500
Tl 0.9253 0.6991 0.0570
Si 0.7064 0.9695 0.2500
Si 0.7936 0.4695 0.7500
Si 0.2936 0.0305 0.7500
Si 0.2064 0.5305 0.2500
```

Size of the total moment: 0.000 μB/atom
Offset from the most stable computed form: 0.000 kcal/mol of atoms
Final energy: -3.320 eV per atom

***

VASP calculation (PBE) on a relaxed Pr4SmMg crystal. Values from VASP.

Quantum ESPRESSO input file:
```
&SYSTEM
  ibrav = 0, nat = 6, ntyp = 3
/
ATOMIC_SPECIES
Pr 140.91 Pr.upf
Mg 24.30 Mg.upf
Sm 150.36 Sm.upf
CELL_PARAMETERS angstrom
5.8006 0.0000 0.0000
0.0002 6.4537 0.0228
0.0001 0.0337 6.4536
ATOMIC_POSITIONS crystal
Pr 0.5000 0.6718 0.3282
Pr 0.5000 0.3282 0.6718
Pr 0.0000 0.1761 0.1761
Pr 0.0000 0.8239 0.8239
Mg 0.0000 0.5000 0.5000
Sm 0.5000 0.0000 0.0000
```

Size of the total moment: 0.000 μB/atom
Offset from the most stable computed form: 15.156 kcal/mol of atoms
Final energy: -3.607 eV per atom
E_form: 0.632 eV per atom

***

VASP calculation (PBE) on a relaxed NdGdLuIn crystal. Values from VASP.

Quantum ESPRESSO input file:
```
&SYSTEM
  ibrav = 0, nat = 4, ntyp = 4
/
ATOMIC_SPECIES
Gd 157.25 Gd.upf
Lu 174.97 Lu.upf
In 114.82 In.upf
Nd 144.24 Nd.upf
CELL_PARAMETERS angstrom
5.4987 0.0000 0.0000
2.7493 4.7620 0.0000
2.7493 1.5873 4.4896
ATOMIC_POSITIONS crystal
Gd 0.0000 0.0000 0.0000
Lu 0.7500 0.7500 0.7500
In 0.2500 0.2500 0.2500
Nd 0.5000 0.5000 0.5000
```

Size of the total moment: 2.040 μB/atom
Final energy: -6.700 eV per atom
E_form: -0.173 eV per atom

***

VASP calculation (PBE) on a relaxed Ge2PSeBr crystal. Values from VASP.

Quantum ESPRESSO input file:
```
&SYSTEM
  ibrav = 0, nat = 5, ntyp = 4
/
ATOMIC_SPECIES
Se 78.96 Se.upf
Ge 72.64 Ge.upf
Br 79.90 Br.upf
P 30.97 P.upf
CELL_PARAMETERS angstrom
5.3281 0.0000 0.0000
0.0000 4.8971 0.0000
0.0000 0.0000 5.3281
ATOMIC_POSITIONS crystal
Se 0.0000 0.0000 0.0000
Ge 0.0000 0.0000 0.5000
Ge 0.5000 0.0000 0.0000
Br 0.0000 0.5000 0.0000
P 0.5000 0.5000 0.5000
```

Size of the total moment: 0.000 μB/atom
Final energy: -3.013 eV per atom

***

VASP calculation (PBE) on a relaxed IrRuBr crystal. Values from VASP.

Quantum ESPRESSO input file:
```
&SYSTEM
  ibrav = 0, nat = 3, ntyp = 3
/
ATOMIC_SPECIES
Br 79.90 Br.upf
Ir 192.22 Ir.upf
Ru 101.07 Ru.upf
CELL_PARAMETERS angstrom
-2.7217 -1.0296 -0.6461
1.3169 -0.7726 2.5601
-2.6102 5.0929 2.8797
ATOMIC_POSITIONS crystal
Br 0.0000 0.0000 0.9826
Ir 0.6667 0.3333 0.3547
Ru 0.3333 0.6667 0.6627
```